Wednesday, February 28, 2007

My Trip Comes to an End

It's already my last day here in England, I can't believe how fast the time has gone by. With only 10 days to see a whole lot of stuff, it doesn’t leave a lot of time for blogging. Fortunately I’ve been able to check my e-mail every few days and keep up with stuff to a certain extent but I haven't really had time to sit down and write a post. Today however, it's bitterly cold in Liverpool and raining off and on. The wind is what is really the kicker thought so we've decided to come inside to warm up for an hour or so. And since the library offers free internet access, what the hell!
We've been really lucky with the weather. It's only really rained for 3 days of our trip. We had two maybe even three days of sun and the rest of the time it's been like spring back in Canada. We've stayed at some very interesting hostels, from a scummy only vet centre to a gorgeous Victorian house that was beautifully re-modelled, to a fairly new conference centre offering all sorts of amenities. I've taken pictures of them all and will post some when I get home.
We've also seem some really cool sites, from the big cities of London and Liverpool (which is quite a bit larger then you think, I could easily have filled 3 days here) To the great outdoors of Wales and their two biggest national parks, Snowdonia and the Brecon Beacons and all kinds of little towns in between.
I'm pretty sure I’ve also heard every possible variation of the English accent during the last few days. The London accent, we had a Scottish tour guide on our 3 day tour of Wales where we obviously heard some welsh accents as well as the ancient Celtic language itself. Also on that tour were quite a few Australians and Americans which gives another wide spectrum of the language and now the Liverpoolan which ties with Welsh for the most difficult to understand!
I've also noticed some other differences between Canadian Culture and the British culture but I’ve made a whole list of them and plan to do a separate post all together.
Well till I get back home,

Monday, February 19, 2007

Waiting it out

So it's 6:30 on Monday Feb 19th and I'm about to leave for the airport on my trip to England. It's been a really long day. I tend to be very impatient, especially when I have something really exciting to look forward to. I've kept myself busy for the day so I'm pretty impressed with my self and my house is clean for when I come back, what a treat.
I would like to say thanks to everyone for all your well wishes on my trip and I'll try to write a post while I'm gone but for sure when I come back with pictures and all!!
I would also just like to mention how AWESOME my brother Rob is. He committed to driving Dianne and I to the airport as of Saturday, such short notice and didn't even hesitate. He is an awesome brother for sure. I would also like to say that my friend Catiy is also awesome because she offered to come pick me up at the airport.
Alright well my brother and Dianne should be here any minute so I'm off...

Inserted here: calculated crystals.
Simulated PXRD pattern
Compound: Ba2ThS6
Radiation: Cu Ka
Structure: DFT lattice parameters and positions (PBE)

Most intense lines, 10° ≤ 2θ ≤ 90°, low angle first:
10.93°, intensity 34
22.66°, intensity 95
22.99°, intensity 100
32.00°, intensity 52
32.26°, intensity 58
33.20°, intensity 21
39.99°, intensity 86
40.58°, intensity 23
46.08°, intensity 27
46.97°, intensity 19
52.28°, intensity 18
62.78°, intensity 31

```
data_Ba2ThS6
_chemical_formula_sum 'Ba4 Th2 S12'
_symmetry_space_group_name_H-M 'P 1'
_symmetry_Int_Tables_number 1
_cell_length_a 5.549
_cell_length_b 5.549
_cell_length_c 16.189
_cell_angle_alpha 90.00
_cell_angle_beta 90.00
_cell_angle_gamma 90.00
loop_
_symmetry_equiv_pos_as_xyz
'x,y,z'
loop_
_atom_site_label
_atom_site_type_symbol
_atom_site_fract_x
_atom_site_fract_y
_atom_site_fract_z
Ba1 Ba 0.250 0.750 0.113
Ba2 Ba 0.250 0.750 0.387
Ba3 Ba 0.750 0.250 0.613
Ba4 Ba 0.750 0.250 0.887
Th1 Th 0.250 0.750 0.750
Th2 Th 0.750 0.250 0.250
S1 S 0.062 0.750 0.582
S2 S 0.250 0.250 0.224
S3 S 0.250 0.250 0.724
S4 S 0.250 0.562 0.918
S5 S 0.250 0.938 0.918
S6 S 0.438 0.750 0.582
S7 S 0.562 0.250 0.418
S8 S 0.750 0.062 0.082
S9 S 0.750 0.438 0.082
S10 S 0.750 0.750 0.276
S11 S 0.750 0.750 0.776
S12 S 0.938 0.250 0.418
```

=====

Simulated PXRD pattern
Compound: Ba6Na16N
Radiation: Cu Ka
Structure: DFT lattice parameters and positions (PBE)

Most intense lines, 10° ≤ 2θ ≤ 90°, low angle first:
10.08°, intensity 100
22.66°, intensity 17
24.86°, intensity 80
26.88°, intensity 84
28.78°, intensity 42
30.57°, intensity 54
33.88°, intensity 28
36.94°, intensity 24
41.15°, intensity 26
47.49°, intensity 30
48.67°, intensity 39
58.57°, intensity 27

```
data_Ba6Na16N
_chemical_formula_sum 'Ba6 Na16 N1'
_symmetry_space_group_name_H-M 'P 1'
_symmetry_Int_Tables_number 1
_cell_length_a 10.746
_cell_length_b 10.746
_cell_length_c 10.746
_cell_angle_alpha 109.47
_cell_angle_beta 109.47
_cell_angle_gamma 109.47
loop_
_symmetry_equiv_pos_as_xyz
'x,y,z'
loop_
_atom_site_label
_atom_site_type_symbol
_atom_site_fract_x
_atom_site_fract_y
_atom_site_fract_z
Ba1 Ba 0.000 0.229 0.229
Ba2 Ba 0.000 0.771 0.771
Ba3 Ba 0.229 0.000 0.229
Ba4 Ba 0.229 0.229 0.000
Ba5 Ba 0.771 0.000 0.771
Ba6 Ba 0.771 0.771 0.000
Na1 Na 0.000 0.000 0.500
Na2 Na 0.000 0.348 0.652
Na3 Na 0.000 0.500 0.000
Na4 Na 0.000 0.652 0.348
Na5 Na 0.305 0.652 0.652
Na6 Na 0.348 0.000 0.652
Na7 Na 0.348 0.348 0.695
Na8 Na 0.348 0.652 0.000
Na9 Na 0.348 0.695 0.348
Na10 Na 0.500 0.000 0.000
Na11 Na 0.500 0.500 0.500
Na12 Na 0.652 0.000 0.348
Na13 Na 0.652 0.305 0.652
Na14 Na 0.652 0.348 0.000
Na15 Na 0.652 0.652 0.305
Na16 Na 0.695 0.348 0.348
N1 N 0.000 0.000 0.000
```


1.
Simulated X-ray diffraction stick pattern
Compound: AlS2O12
Radiation: Cu Kα (weighted mean of Kα1 and Kα2)
Structure: DFT lattice parameters and positions (GGA-PBE)

Principal peaks in the range 10° ≤ 2θ ≤ 80°, by angle:
d = 5.131 Å, 2θ 17.28, intensity 15
d = 4.677 Å, 2θ 18.97, intensity 16
So much for the calculated crystals.

Friday, February 16, 2007

My First Real Vacation is Almost Here!!

My first real vacation is just around the corner. I can't believe how fast it has come. My last post I wrote about finally finding a backpack I could use for my trip and I had to pay for it. Boo to that I say. The next day i was talking to a lady and work and she said her daughters both had a bigger backpack they had used when they went to England so I could borrow one if I wanted. Since that was a way cheaper option, I was all over it, just think of how many pints I can have with that saved 120 dollars!
My most recent challenge has involved finding a carry on bag that can double as a day pack but also be carried with the backpack. Who knew this would be so darn difficult, but I think i found one that will suffice. It's not the most comfortable when combined with the backpack but it will do. There is plenty of room for all my stuff that I would need for day trips which is very exciting!
I've also been exploring options on how to get to the airport. I was all set to drive myself when my friend Caity, offered to pick me up when I get back.... mmm again saving myself 80 bucks... more Pints!!! So now I'm calling in some favors to see if i can get a ride there. My bro has said he could probably do it and my parents are still a possibility but they are out of the country until the day before I leave so it's a little sketchy but we'll see.
I've now even have all my stuff packed and taken my bags for a trial run to see how heavy they are. Andrew has been pestering me to do this forever now it seems and I'm really glad I didn't listen to him before now because I feel like i should be going to get on the plane tomorrow!!! I'm afraid the next 3 days are going to go so slowly that it will be painfully. I feel the worst could be tomorrow as it is my last day of work before 2 whole weeks off!

Tuesday, February 06, 2007

And the countdown is on!

So here we are down to 12 days till i leave for England and i've finally gotten my act together. I know what shoes i'm bringing with me. We have hostels booked, our trip basically maped out, our bus tour booked, picked up my plane ticket today, get my passport on Friday and after 3 hours of driving all over Kitchener/ Waterloo and Cambridge, I finally found an affordable, travel backpack. Leave it to me to procrastinate for so long, but it's taken care of. I've been looking around for the last few months to see if i could find anything but decided yesterday, being my day off would be the day to take care of it. I spent some time surfing on the net trying to find some good luggage stores, to no avail, and hiking stores for the right kind of equipment. I went to about 4 stores yesterday with no luck and went to, I swear, every other possible place I could think of today until I made it to the Hiking store just down the road from me tonight at 7ish and found a decent pack for 120 bucks. After researching on the net last night I was afraid I wouldn't be able to find anything for less then 200 which I couldn't justify spending on something I would probably only use once. So luckily I found this pack and think it will work and I’ll be able to use it in the future also.
My parents gave me some extra money so I decided that I would splurge and buy a digital camera. After two weeks of looking around and researching on the internet to see what I actually wanted I found one tonight too. So needless to say my brand new credit card was very well used today. Next on the trip list is figuring out what all I need to bring and to make sure I can handle carrying it all on my back. That's Friday's project!